Data:
~~~
1.
This entry pairs a crystal structure of Al9Rh2 with its theoretical powder XRD pattern. Radiation: Cu Ka. Structure: DFT lattice parameters and positions (GGA-PBE).

Top 10 peaks for 2θ from 10° to 90°, low angle first:
| 2θ (°) | I/Imax |
| --- | --- |
| 19.61 | 100.0 |
| 21.55 | 75.4 |
| 22.71 | 69.3 |
| 24.67 | 61.8 |
| 29.49 | 63.2 |
| 39.17 | 64.1 |
| 42.72 | 86.2 |
| 45.13 | 60.1 |
| 45.26 | 83.6 |
| 45.43 | 99.7 |

Structural model:
Cell lengths 6.3656, 6.4618, 8.7349 Å; angles 90.00, 95.06, 90.00 degrees
Element x y z (fractional)
Al 0.0000 0.0000 0.0000
Al 0.0000 0.5000 0.5000
Al 0.0966 0.2130 0.7271
Al 0.0966 0.2870 0.2271
Al 0.2116 0.6056 0.0395
Al 0.2116 0.8944 0.5395
Al 0.3884 0.1969 0.9965
Al 0.3884 0.3031 0.4965
Al 0.4002 0.5211 0.7695
Al 0.4002 0.9789 0.2695
Al 0.5998 0.0211 0.7305
Al 0.5998 0.4789 0.2305
Al 0.6116 0.6969 0.5035
Al 0.6116 0.8031 0.0035
Al 0.7884 0.1056 0.4605
Al 0.7884 0.3944 0.9605
Al 0.9034 0.7130 0.7729
Al 0.9034 0.7870 0.2729
Rh 0.2639 0.6229 0.3312
Rh 0.2639 0.8771 0.8312
Rh 0.7361 0.1229 0.1688
Rh 0.7361 0.3771 0.6688

---

2.
This entry pairs a crystal structure of Al2Rh7 with its theoretical powder XRD pattern. Radiation: Cu Ka. Structure: DFT lattice parameters and positions (GGA-PBE).

Top 10 peaks for 2θ from 10° to 90°, low angle first:
| 2θ (°) | I/Imax |
| --- | --- |
| 13.50 | 13.1 |
| 40.58 | 100.0 |
| 41.30 | 29.7 |
| 47.42 | 61.0 |
| 68.80 | 19.3 |
| 69.82 | 19.8 |
| 83.04 | 12.0 |
| 83.52 | 22.3 |
| 84.47 | 10.6 |
| 87.81 | 10.3 |

Structural model:
Cell lengths 4.7267, 4.7267, 6.5582 Å; angles 90.00, 90.00, 120.00 degrees
Element x y z (fractional)
Al 0.3333 0.6667 0.0000
Al 0.6667 0.3333 0.0000
Rh 0.0000 0.0000 0.0000
Rh 0.0000 0.3300 0.6738
Rh 0.0000 0.6700 0.3262
Rh 0.3300 0.0000 0.6738
Rh 0.3300 0.3300 0.3262
Rh 0.6700 0.0000 0.3262
Rh 0.6700 0.6700 0.6738

---

3.
This entry pairs a crystal structure of Al3Rh4 with its theoretical powder XRD pattern. Radiation: Cu Ka. Structure: DFT lattice parameters and positions (GGA-PBE).

Top 10 peaks for 2θ from 10° to 90°, low angle first:
| 2θ (°) | I/Imax |
| --- | --- |
| 16.92 | 15.1 |
| 31.76 | 45.2 |
| 34.22 | 9.1 |
| 36.19 | 12.0 |
| 41.47 | 62.6 |
| 42.09 | 100.0 |
| 54.82 | 9.2 |
| 60.10 | 20.5 |
| 74.56 | 9.7 |
| 76.08 | 33.7 |

Structural model:
Cell lengths 3.0791, 3.0791, 20.9653 Å; angles 90.00, 90.00, 90.00 degrees
Element x y z (fractional)
Al 0.0000 0.0000 0.0000
Al 0.0000 0.0000 0.2892
Al 0.0000 0.0000 0.7108
Al 0.5000 0.5000 0.2108
Al 0.5000 0.5000 0.5000
Al 0.5000 0.5000 0.7892
Rh 0.0000 0.0000 0.1569
Rh 0.0000 0.0000 0.4331
Rh 0.0000 0.0000 0.5669
Rh 0.0000 0.0000 0.8431
Rh 0.5000 0.5000 0.0669
Rh 0.5000 0.5000 0.3431
Rh 0.5000 0.5000 0.6569
Rh 0.5000 0.5000 0.9331

---

4.
This entry pairs a crystal structure of AlRh2 with its theoretical powder XRD pattern. Radiation: Cu Ka. Structure: DFT lattice parameters and positions (GGA-PBE).

Top 10 peaks for 2θ from 10° to 90°, low angle first:
| 2θ (°) | I/Imax |
| --- | --- |
| 12.25 | 13.3 |
| 40.65 | 100.0 |
| 46.85 | 15.7 |
| 47.15 | 18.6 |
| 47.87 | 14.1 |
| 68.65 | 10.4 |
| 69.46 | 10.1 |
| 82.72 | 9.8 |
| 83.18 | 12.1 |
| 84.24 | 9.2 |

Structural model:
Cell lengths 6.1215, 3.8547, 7.6006 Å; angles 90.00, 108.11, 90.00 degrees
Element x y z (fractional)
Al 0.0000 0.0000 0.0000
Al 0.0310 0.5000 0.2936
Al 0.3370 0.0000 0.8255
Al 0.6430 0.0000 0.1877
Rh 0.3082 0.5000 0.0811
Rh 0.3264 0.0000 0.3463
Rh 0.3522 0.5000 0.6068
Rh 0.6669 0.5000 0.4109
Rh 0.6731 0.0000 0.6771
Rh 0.7052 0.5000 0.9779
Rh 0.9918 0.0000 0.5095
Rh 0.9969 0.5000 0.7551

---

5.
This entry pairs a crystal structure of Al4Rh3 with its theoretical powder XRD pattern. Radiation: Cu Ka. Structure: DFT lattice parameters and positions (GGA-PBE).

Top 10 peaks for 2θ from 10° to 90°, low angle first:
| 2θ (°) | I/Imax |
| --- | --- |
| 13.07 | 41.8 |
| 24.75 | 24.5 |
| 25.90 | 23.5 |
| 30.12 | 64.5 |
| 42.85 | 100.0 |
| 43.37 | 93.9 |
| 62.61 | 30.9 |
| 78.49 | 16.3 |
| 78.86 | 31.4 |
~~~

Brief:
Next, reproduce the data further above without altering anything.

Here it is:
1.
This entry pairs a crystal structure of Al9Rh2 with its theoretical powder XRD pattern. Radiation: Cu Ka. Structure: DFT lattice parameters and positions (GGA-PBE).

Top 10 peaks for 2θ from 10° to 90°, low angle first:
| 2θ (°) | I/Imax |
| --- | --- |
| 19.61 | 100.0 |
| 21.55 | 75.4 |
| 22.71 | 69.3 |
| 24.67 | 61.8 |
| 29.49 | 63.2 |
| 39.17 | 64.1 |
| 42.72 | 86.2 |
| 45.13 | 60.1 |
| 45.26 | 83.6 |
| 45.43 | 99.7 |

Structural model:
Cell lengths 6.3656, 6.4618, 8.7349 Å; angles 90.00, 95.06, 90.00 degrees
Element x y z (fractional)
Al 0.0000 0.0000 0.0000
Al 0.0000 0.5000 0.5000
Al 0.0966 0.2130 0.7271
Al 0.0966 0.2870 0.2271
Al 0.2116 0.6056 0.0395
Al 0.2116 0.8944 0.5395
Al 0.3884 0.1969 0.9965
Al 0.3884 0.3031 0.4965
Al 0.4002 0.5211 0.7695
Al 0.4002 0.9789 0.2695
Al 0.5998 0.0211 0.7305
Al 0.5998 0.4789 0.2305
Al 0.6116 0.6969 0.5035
Al 0.6116 0.8031 0.0035
Al 0.7884 0.1056 0.4605
Al 0.7884 0.3944 0.9605
Al 0.9034 0.7130 0.7729
Al 0.9034 0.7870 0.2729
Rh 0.2639 0.6229 0.3312
Rh 0.2639 0.8771 0.8312
Rh 0.7361 0.1229 0.1688
Rh 0.7361 0.3771 0.6688

---

2.
This entry pairs a crystal structure of Al2Rh7 with its theoretical powder XRD pattern. Radiation: Cu Ka. Structure: DFT lattice parameters and positions (GGA-PBE).

Top 10 peaks for 2θ from 10° to 90°, low angle first:
| 2θ (°) | I/Imax |
| --- | --- |
| 13.50 | 13.1 |
| 40.58 | 100.0 |
| 41.30 | 29.7 |
| 47.42 | 61.0 |
| 68.80 | 19.3 |
| 69.82 | 19.8 |
| 83.04 | 12.0 |
| 83.52 | 22.3 |
| 84.47 | 10.6 |
| 87.81 | 10.3 |

Structural model:
Cell lengths 4.7267, 4.7267, 6.5582 Å; angles 90.00, 90.00, 120.00 degrees
Element x y z (fractional)
Al 0.3333 0.6667 0.0000
Al 0.6667 0.3333 0.0000
Rh 0.0000 0.0000 0.0000
Rh 0.0000 0.3300 0.6738
Rh 0.0000 0.6700 0.3262
Rh 0.3300 0.0000 0.6738
Rh 0.3300 0.3300 0.3262
Rh 0.6700 0.0000 0.3262
Rh 0.6700 0.6700 0.6738

---

3.
This entry pairs a crystal structure of Al3Rh4 with its theoretical powder XRD pattern. Radiation: Cu Ka. Structure: DFT lattice parameters and positions (GGA-PBE).

Top 10 peaks for 2θ from 10° to 90°, low angle first:
| 2θ (°) | I/Imax |
| --- | --- |
| 16.92 | 15.1 |
| 31.76 | 45.2 |
| 34.22 | 9.1 |
| 36.19 | 12.0 |
| 41.47 | 62.6 |
| 42.09 | 100.0 |
| 54.82 | 9.2 |
| 60.10 | 20.5 |
| 74.56 | 9.7 |
| 76.08 | 33.7 |

Structural model:
Cell lengths 3.0791, 3.0791, 20.9653 Å; angles 90.00, 90.00, 90.00 degrees
Element x y z (fractional)
Al 0.0000 0.0000 0.0000
Al 0.0000 0.0000 0.2892
Al 0.0000 0.0000 0.7108
Al 0.5000 0.5000 0.2108
Al 0.5000 0.5000 0.5000
Al 0.5000 0.5000 0.7892
Rh 0.0000 0.0000 0.1569
Rh 0.0000 0.0000 0.4331
Rh 0.0000 0.0000 0.5669
Rh 0.0000 0.0000 0.8431
Rh 0.5000 0.5000 0.0669
Rh 0.5000 0.5000 0.3431
Rh 0.5000 0.5000 0.6569
Rh 0.5000 0.5000 0.9331

---

4.
This entry pairs a crystal structure of AlRh2 with its theoretical powder XRD pattern. Radiation: Cu Ka. Structure: DFT lattice parameters and positions (GGA-PBE).

Top 10 peaks for 2θ from 10° to 90°, low angle first:
| 2θ (°) | I/Imax |
| --- | --- |
| 12.25 | 13.3 |
| 40.65 | 100.0 |
| 46.85 | 15.7 |
| 47.15 | 18.6 |
| 47.87 | 14.1 |
| 68.65 | 10.4 |
| 69.46 | 10.1 |
| 82.72 | 9.8 |
| 83.18 | 12.1 |
| 84.24 | 9.2 |

Structural model:
Cell lengths 6.1215, 3.8547, 7.6006 Å; angles 90.00, 108.11, 90.00 degrees
Element x y z (fractional)
Al 0.0000 0.0000 0.0000
Al 0.0310 0.5000 0.2936
Al 0.3370 0.0000 0.8255
Al 0.6430 0.0000 0.1877
Rh 0.3082 0.5000 0.0811
Rh 0.3264 0.0000 0.3463
Rh 0.3522 0.5000 0.6068
Rh 0.6669 0.5000 0.4109
Rh 0.6731 0.0000 0.6771
Rh 0.7052 0.5000 0.9779
Rh 0.9918 0.0000 0.5095
Rh 0.9969 0.5000 0.7551

---

5.
This entry pairs a crystal structure of Al4Rh3 with its theoretical powder XRD pattern. Radiation: Cu Ka. Structure: DFT lattice parameters and positions (GGA-PBE).

Top 10 peaks for 2θ from 10° to 90°, low angle first:
| 2θ (°) | I/Imax |
| --- | --- |
| 13.07 | 41.8 |
| 24.75 | 24.5 |
| 25.90 | 23.5 |
| 30.12 | 64.5 |
| 42.85 | 100.0 |
| 43.37 | 93.9 |
| 62.61 | 30.9 |
| 78.49 | 16.3 |
| 78.86 | 31.4 |